Following the death of George Floyd in 2020 and the subsequent Black Lives Matter Movement, IPS Grow started to reach out to gauge the response in our IPS communities. A question was posed on our shared information platform which was the start of many conversations and lots of learning.  

We created dedicated Communities of Practice events to allow staff to reflect on the issue and to start thinking about ways to change our approach. Since that time, we have had events in all UK regions including reflecting on the topic and thinking about our growing workforce and the importance of reflecting on our local communities to build diverse services.  

From this initial impetus, working groups were formed in the North and South of England which brought together individual volunteers passionate to address the issues at hand.    

In the North of England, workshops were developed and facilitated that reached a total of 170 people within IPS services on the following topics:  

### Next to the entry, the page also holds data records
- - -
# Al2ReSe

An optimized crystal structure of Al2ReSe (PBE, Alexandria via LeMat-Bulk).

a b c (Å): 4.737 4.737 4.737
angles (deg): 128.55 128.55 75.74
Element x y z (fractional)
Al 0.000 0.000 0.000
Al 0.750 0.250 0.500
Re 0.250 0.750 0.500
Se 0.500 0.500 0.000

final energy: -22.033 eV for the cell shown
density of states at the Fermi level: 0.758 states/eV/atom
theoretical density: 8.38 g/cm³



# Al2SbIr

An optimized crystal structure of Al2SbIr (PBE, Alexandria via LeMat-Bulk).

a b c (Å): 4.546 3.222 5.155
angles (deg): 90.00 111.92 90.00
Element x y z (fractional)
Al 0.000 0.000 0.000
Al 0.000 0.500 0.500
Sb 0.500 0.000 0.500
Ir 0.500 0.500 0.000

final energy: -20.478 eV for the cell shown
density of states at the Fermi level: 0.387 states/eV/atom
theoretical density: 8.72 g/cm³



# Na2Tl5Sn5

An optimized crystal structure of Na2Tl5Sn5 (PBE, Alexandria via LeMat-Bulk).

a b c (Å): 7.193 7.193 10.911
angles (deg): 112.42 112.42 41.42
Element x y z (fractional)
Na 0.084 0.084 0.251
Na 0.916 0.916 0.749
Tl 0.000 0.000 0.500
Tl 0.159 0.159 0.994
Tl 0.250 0.250 0.750
Tl 0.750 0.750 0.250
Tl 0.841 0.841 0.006
Sn 0.330 0.330 0.502
Sn 0.419 0.419 0.257
Sn 0.500 0.500 0.000
Sn 0.581 0.581 0.743
Sn 0.670 0.670 0.498

final energy: -35.027 eV for the cell shown
density of states at the Fermi level: 0.418 states/eV/atom
formation energy from the elements: -0.0453 eV/atom
theoretical density: 8.09 g/cm³



# Li3Sn2Au

An optimized crystal structure of Li3Sn2Au (PBE, Alexandria via LeMat-Bulk).

a b c (Å): 10.354 10.343 4.786
angles (deg): 76.77 76.50 26.74
Element x y z (fractional)
Li 0.125 0.125 0.125
Li 0.205 0.205 0.545
Li 0.455 0.455 0.795
Li 0.545 0.545 0.205
Li 0.795 0.795 0.455
Li 0.875 0.875 0.875
Sn 0.046 0.046 0.704
Sn 0.296 0.296 0.954
Sn 0.704 0.704 0.046
Sn 0.954 0.954 0.296
Au 0.375 0.375 0.375
Au 0.625 0.625 0.625

final energy: -39.249 eV for the cell shown
distance to the lowest polymorph of the same formula: 0 meV/atom
density of states at the Fermi level: 0.100 states/eV/atom
formation energy from the elements: -0.4333 eV/atom
theoretical density: 6.75 g/cm³



# La2MgSb4Pt3

An optimized crystal structure of La2MgSb4Pt3 (PBE, Alexandria via LeMat-Bulk).

a b c (Å): 4.577 4.577 11.410
angles (deg): 90.00 90.00 90.00
Element x y z (fractional)
La 0.000 0.500 0.249
La 0.500 0.000 0.751
Mg 0.000 0.000 0.500
Sb 0.000 0.000 0.000
Sb 0.000 0.500 0.641
Sb 0.500 0.000 0.359
Sb 0.500 0.500 0.000
Pt 0.000 0.500 0.871
Pt 0.500 0.000 0.129
Pt 0.500 0.500 0.500

final energy: -54.385 eV for the cell shown
density of states at the Fermi level: 0.386 states/eV/atom
theoretical density: 9.55 g/cm³



# Ac3CeN4

An optimized crystal structure of Ac3CeN4 (PBE, Alexandria via LeMat-Bulk).

a b c (Å): 10.730 5.456 5.461
angles (deg): 90.00 90.00 90.00
Element x y z (fractional)
Ac 0.000 0.250 0.000
Ac 0.250 0.250 0.501
Ac 0.250 0.750 0.001
Ac 0.500 0.750 0.500
Ac 0.750 0.250 0.501
Ac 0.750 0.750 0.001
Ce 0.000 0.731 0.518
Ce 0.500 0.269 0.018
- - -
### The entry goes on

  • The Equality Act 
  • Unconscious Bias 
  • Use of Language 
  • White privilege 
  • Feeling uncomfortable discussing racial equality  
  • Conversations about race with IPS clients 

Some feedback about what was most impactful included: 

The encouragement to all be open, honest without judgement. That we were encouraged to feel that it was a safe space. I really liked that the facilitators/people who wrote the slides and content seemed to also be challenging themselves on what should be included. That has prompted me to think, consider and challenge myself and others more. To be open to change

Hearing people talk about privilege was thought provoking (…) The clips shown were well suited and really got you thinking. This session should be delivered to NHS Trusts across all the country! Well done!

We really encourage you to check out the resources on the IPS Grow collaboration platform and use them to support conversations and training in your service. 

The South of England alongside IPS Grow colleagues pulled together a plan to share guidance and advice to IPS services on a range of issues. Changes that have been made to date include Making local demographic information immediately accessible in our IPS reporting tool, updating our vocational profile to include cultural explorative questions, adding suggested questions for client surveys to our standard KPI document and creation of a shared space on our FutureNHS Platform to capture forum discussions, resources and research.  

Over time, we are committed to keeping this on our agenda and reviewing what we produce and share with services through the lens of anti-racist practice and always encouraging continued exploration of the subject. 

The most important tool that we have to drive quality of service delivery is IPS fidelity reviews. An immediate change that we made in 2020 was to add in questions about racial equity as a standard part of our review process and we are currently working on recommendations around data analysis, cultural awareness and how to embed race equity into our everyday working practices. 

To date, there has been relatively little research on IPS specifically focussing on race and diversity issues so some quick findings were sought from two experienced London Services which crucially confirm that IPS, with its focus on the individual, can act as a race equity initiative in Mental Health services. 

We know that, in mental health services, we already work in a space where we support a high number of people from minority ethnic communities. This alongside the impact of Covid which also disproportionately impacted people of colour, means that we must address this subject head-on.  Where conversations may be uncomfortable, it is not a reason not to have them!  

Most importantly, none of us are experts in all of this – we only bring our personal perspectives. What is important is that we all engage with this so that all clients receive a cultural appropriate service from all IPS practitioners. If we remain open and curious to understand the perspective and experience of others, we can fully be a part of their journey to work and social inclusion.